Tag Archives: #ohpinjun

The Gaza War

The ongoing Gaza war between Israel and Gaza (Hamas and by extension also Hezbollah) has been impossible to miss or ignore in the daily news since its start in October last year. Equally hard to ignore are the devastating and cruel initiatives taken by all parties whenever negotiations for a cease-fire are approaching. Sticking out like a very sore thumb, however, are the excesses in cruelty that both parties seem to find perfectly acceptable in this war. With the escalations in bad behavior as bad as they are now: where will this go, and when or where will it end? Continue reading →

The foreign language – A comparison

When Eef wrote his piece on foreign languages, more specific on the French language for non-native speakers, he presented the article to me by email. In this email Eef he asked me on my view on the situations sketched in his article. This is a very fair question indeed as my wife and I left our home country The Netherlands (aka Holland) in 1997 when we emigrated to Sweden. You could say Eef’s and my family share the experience of moving abroad to a country we did not speak the language of. The prevailing language in Sweden being Swedish as it is French in France. In Eef’s defence, they were pensioners, while we were in our thirties. Continue reading →

**Next to the text, the page also holds crystal structures:**
........
P.
DFT (PBE-GGA) results for a geometry-optimized Nb3Si structure.

Cell and atoms, written as POSCAR:
```
Nb3Si
1.0
4.084 0.000 0.000
0.000 4.084 0.000
0.000 0.000 4.084
Nb Si
3 1
direct
0.000 0.500 0.500
0.500 0.500 0.000
0.500 0.000 0.500
0.000 0.000 0.000
```

Summary:
SG: Pm-3m

=====

Q.
DFT (PBE-GGA) results for a geometry-optimized Nb3Si structure.

Cell and atoms, written as POSCAR:
```
Nb3Si
1.0
0.427 2.667 -1.076
-1.369 0.313 2.546
7.541 0.407 4.003
Nb Si
3 1
direct
0.500 0.500 0.773
0.000 0.000 0.500
0.500 0.500 0.227
0.000 0.000 0.000
```

Summary:
SG: Cmmm

=====

Quick ranking, most stable first: P, Q.

=====

P.
DFT (PBE-GGA) results for a geometry-optimized Nb12TlTe16 structure.

Cell and atoms, written as POSCAR:
```
Nb12TlTe16
1.0
5.415 -9.379 0.000
5.415 9.379 0.000
0.000 0.000 14.652
Nb Tl Te
24 2 32
direct
0.101 0.491 0.751
0.102 0.491 0.000
0.101 0.491 0.249
0.101 0.492 0.500
0.390 0.899 0.751
0.389 0.898 0.000
0.391 0.899 0.500
0.390 0.899 0.249
0.509 0.610 0.751
0.509 0.611 0.000
0.509 0.610 0.249
0.508 0.609 0.500
0.487 0.385 0.876
0.487 0.385 0.124
0.486 0.384 0.375
0.486 0.384 0.625
0.615 0.102 0.124
0.615 0.102 0.876
0.616 0.101 0.375
0.616 0.101 0.625
0.898 0.513 0.876
0.898 0.513 0.124
0.899 0.514 0.375
0.899 0.514 0.625
0.000 0.000 0.366
0.000 0.000 0.634
0.066 0.730 0.751
0.067 0.729 0.000
0.066 0.730 0.249
0.066 0.733 0.500
0.333 0.667 0.875
0.333 0.667 0.125
0.333 0.667 0.375
0.333 0.667 0.625
0.270 0.336 0.751
0.271 0.337 0.000
0.270 0.336 0.249
0.267 0.333 0.500
0.664 0.934 0.751
0.663 0.933 0.000
0.664 0.934 0.249
0.667 0.934 0.500
0.341 0.066 0.875
0.341 0.066 0.125
0.342 0.066 0.375
0.342 0.066 0.625
0.725 0.659 0.125
0.725 0.659 0.875
0.723 0.658 0.375
0.723 0.658 0.625
0.667 0.333 0.749
0.667 0.333 0.000
0.667 0.333 0.500
0.667 0.333 0.251
0.934 0.275 0.875
0.934 0.277 0.375
0.934 0.277 0.625
0.934 0.275 0.125
```

Summary:
SG: P-6

=====

Q.
DFT (PBE-GGA) results for a geometry-optimized Nb12TlTe16 structure.

Cell and atoms, written as POSCAR:
```
Nb12TlTe16
1.0
3.668 10.862 0.000
-3.668 10.862 0.000
0.000 5.433 9.414
Nb Tl Te
12 1 16
direct
0.119 0.119 0.898
0.620 0.620 0.899
0.324 0.324 0.613
0.824 0.824 0.612
0.181 0.181 0.490
0.682 0.682 0.488
0.879 0.381 0.102
0.381 0.879 0.102
0.676 0.176 0.389
0.176 0.676 0.389
0.820 0.318 0.510
0.318 0.820 0.510
0.375 0.375 0.000
0.542 0.542 0.333
0.042 0.042 0.333
0.458 0.958 0.667
0.958 0.458 0.667
0.739 0.739 0.936
0.238 0.238 0.935
0.843 0.843 0.338
0.343 0.343 0.339
0.545 0.545 0.725
0.044 0.044 0.728
0.261 0.761 0.064
0.761 0.261 0.064
0.157 0.658 0.663
0.658 0.157 0.663
0.457 0.956 0.272
0.956 0.457 0.272
```

Summary:
SG: Cm

=====

Quick ranking, most stable first: Q, P.

=====

P.
DFT (PBE-GGA) results for a geometry-optimized Nd structure.

Cell and atoms, written as POSCAR:
```
Nd
1.0
-5.590 -2.642 -6.816
-4.531 -5.909 -5.407
-7.325 -4.032 -3.843
Nd
3
direct
0.000 0.000 0.000
0.777 0.777 0.777
0.223 0.223 0.223
```

Summary:
SG: R-3m

=====

Q.
........

The Foreign language

My wife Wil and I live permanently in France since 2008. We’ve bought our house in 2005, but we were not ready for the final step at that time. Our reluctance was mainly due to the difficulty we had in speaking French.

But in 2008 the ultimate decision was made: France was the place to be, attracted as we were by the beautiful nature, the calm pace of the French countryside and the low-stress attitude of the local people, so we sold our Dutch property.

Does this mean that we overcame the problems we had with the French language? Not by a long shot. Continue reading →

Det Svenska valet – 3

Det är inte ett bra tecken om jag ser anledning att publicera än en artikel om det svenska valsystemet, denna gången med löpnummer 3. Se tidigare artiklar kring samma ämne här och här, och mer nyligen här.

Några veckor efter det senaste EU val, bestämde SVT sig för att kolla hur bra det fungerade på en skala från 0 till 1, läs SVT’s inslag här. SVT tittade inte på hur själva valet genomförs, vilket jag själv har synpunkter på, men de kollade om det fanns avvikelser i själva rösträkningen – ett ännu viktigare del av valet. I all enkelhet påstår jag att om det finns avvikelser i rösträkningen så är dessa resultatet av hur valet och rösträkningen genomförs. I ett demokratiskt val påstår jag att avvikelser inte får förekomma.

Några av slutsatser som SVT drar efter granskningen:

  • …sprickor i systemet…
  • …i nästan hälften av de granskade distrikten går inte siffrorna ihop…
  • …riskerar att skada förtroendet för valsystemet…

Continue reading →

New book on the way

Just letting you know that I’ve got a new book in the making. The preliminary title is:

The Fifth

The 5th, now what could that be? Here are some ideas:

  • The fifth commandment? (‘Honor thy father and thy mother…’)
  • A mysterious fifth person?
  • The fifth sense? (smell)
  • The fifth dimension? (allegedly taken from my blogging mate’s post  Graham’s number)

Let me put you on the right track. The preliminary cover page is:

…and may give you a hint on the subject. Continue reading →


Say what…?

The word ˈɪnflu.ənsə(ɹ) phonetically spells the word ‘Influencer’, but what does it really mean? Here are the official meanings according to Wictionary:

  1. A person who or a thing which influences
  2. A person who is able to influence consumption, lifestyle and/or political preferences of their online audience by creating and/or engaging social media content, often as a part of a marketing campaign

In my experience, a third category ought to be added. But, for the time being, let’s stick to these two categories as these seem quite straightforward. We’ll tackle my proposal for a third category later. Continue reading →

Unexpected turns of events – Short stories

Eef, our resident columnist and contributor of mainly scientific content to this blog, decided it was time to write and publish some short stories collected from his memory under the sub-title ‘Unexpected turns of events‘. It is my pleasure to publish them on this site and bring them to your attention. Eef wrote three stories to date, I have no doubt that more will follow shortly. Continue reading →

AI? For an audiobook? Are you mad?

Well, that remains to be seen. The question is if I can publish an audiobook using AI?

Good question, I’ve written a few books, and published them both in paperback and ebook format, but never given the idea of publishing them as audiobooks much thought. While I’ve always been an avid reader of printed books and more recently also of ebooks, audiobooks never really became my thing. I tried one of them once a long time ago but never managed to finish it. Mind you, that was in the age when CD’s had just become fashionable. Continue reading →

Police brutality – Unique to the USA?

It has been impossible to ignore the cases of severe police brutality from departments all over the USA. Any reasonable person would wonder, after reading about this for the second, third, or even fourth time in the same year, why US police departments do not learn from previous examples. After all, how hard can it be? Continue reading →


After a recent contribution by fellow columnist Eef, suddenly a lot of articles in the Dutch and Swedish press about this AI were published – did they read Eef’s column? As usual with the presentation of any new AI, the articles vary from handy tools for the curious, via a new don’t-have-to-do-any-more-homework trick for students, to the latest threat for AI to take over our jobs and ultimately the world.

Finally, I got curious and decided I had to try the thang for myself. Continue reading →

Mathematical issues

Some remarkable mathematical issues

Although the Dutch newspapers Volkskrant and NRC can be blamed for being too political (D66) biased to be independent as journals ought to be, it must be said that both have excellent science sections.
On an irregular base even topics of mathematical nature have been published.

Of course for a layman’s audience, mathematics lacks the ability of other science disciplines of being easily visualized.
So the topics in these sections were about trivial stuff like the latest calculated decimals of π or some large regions on the number line without any prime number called prime deserts, a newly found Mersenne number, etc.
But that hardly scratches the surface. Continue reading →

‘Referendum’ in Ukraine

As no one can possibly have missed, russia is in the process of organizing a referendum. The fact that they organized it in another country makes it more unique. The fact that the subject is whether the folks voting in the referendum want to join the russian federation makes it even more unique. Note that my use of the word ‘unique’ is not to be interpreted in a positive manner. Continue reading →